**Activity:**
Your job: reproduce the lines further below up to the one that holds "17.1, 100", that line included.

**File:**
<<<
This entry pairs a crystal structure of ThFe4Co with its computed powder XRD pattern. Radiation: Cu Kα, 1.54184 Å. Structure: a crystal structure in the Materials Project, relaxed with PBE.
Lines closer than 0.1° are merged.

The 10 most intense peaks (2θ from 5° to 70°), sorted by position:
d 4.388, I 19
d 4.053, I 15
d 2.977, I 75
d 2.533, I 40
d 2.194, I 38
d 2.148, I 100
d 2.026, I 23
d 1.582, I 19
d 1.489, I 22
d 1.376, I 15

Atomic structure:
```
ThFe4Co
1.0
4.053 0.000 0.000
0.000 5.072 0.000
0.000 0.000 8.766
Th Fe Co
2 8 2
direct
0.000 0.000 0.000
0.000 0.500 0.500
0.000 0.000 0.667
0.000 0.500 0.167
0.500 0.000 0.500
0.500 0.250 0.250
0.500 0.250 0.750
0.500 0.500 0.000
0.500 0.750 0.250
0.500 0.750 0.750
0.000 0.000 0.333
0.000 0.500 0.833
```

~~~~~

LiV3P5O19: computed powder X-ray diffraction pattern (CuKα), based on a DFT-relaxed cell (GGA+U, the Materials Project).
Intensities are scaled so that the largest is 100.

Main lines, in order of rising 2θ (10 to 90 degrees two-theta):
2θ/deg, I/Imax
11.7, 100
14.5, 84
16.4, 46
19.9, 38
21.2, 89
23.5, 60
24.2, 18
28.9, 59
32.1, 16
33.0, 29

Atomic structure:
abc: 8.5034 8.5034 6.3529
angles: 98.41 98.41 113.95
Element x y z (fractional)
1 Li 0.0000 0.0000 0.0000
2 V 0.1484 0.3926 0.6506
3 V 0.3926 0.1484 0.6506
4 V 0.6695 0.6695 0.3157
5 P 0.0880 0.7176 0.4717
6 P 0.2194 0.5119 0.1992
7 P 0.5119 0.2194 0.1992
8 P 0.5768 0.5768 0.7757
9 P 0.7176 0.0880 0.4717
10 O 0.0680 0.5868 0.6151
11 O 0.1364 0.4235 0.9605
12 O 0.1511 0.6600 0.2568
13 O 0.1517 0.3727 0.3344
14 O 0.2243 0.2243 0.6611
15 O 0.2266 0.9022 0.5866
16 O 0.3727 0.1517 0.3344
17 O 0.3907 0.5721 0.7334
18 O 0.4207 0.6126 0.2497
19 O 0.4235 0.1364 0.9605
20 O 0.5721 0.3907 0.7334
21 O 0.5868 0.0680 0.6151
22 O 0.6126 0.4207 0.2497
23 O 0.6600 0.1511 0.2568
24 O 0.6824 0.6824 0.0101
25 O 0.6844 0.6844 0.6263
26 O 0.7281 0.9181 0.3727
27 O 0.9022 0.2266 0.5866
28 O 0.9181 0.7281 0.3727

***

LiVP3O9: computed powder X-ray diffraction pattern (CuKα), based on a DFT-relaxed cell (GGA+U, the Materials Project).
Intensities are scaled so that the largest is 100.

Main lines, in order of rising 2θ (10 to 90 degrees two-theta):
2θ/deg, I/Imax
14.1, 40
17.1, 100
17.6, 49
19.2, 15
23.9, 40
24.1, 10
30.0, 48
31.0, 14
31.9, 11
34.5, 16

Atomic structure:
abc: 9.2419 7.3693 12.0656
angles: 90.00 90.00 90.00
Element x y z (fractional)
1 Li 0.0318 0.2500 0.0322
2 Li 0.4682 0.7500 0.5322
3 Li 0.5318 0.2500 0.4678
4 Li 0.9682 0.7500 0.9678
5 V 0.0194 0.7500 0.2096
6 V 0.4806 0.2500 0.7096
7 V 0.5194 0.7500 0.2904
8 V 0.9806 0.2500 0.7904
9 P 0.1953 0.2500 0.5418
10 P 0.2492 0.0466 0.3484
11 P 0.2492 0.4534 0.3484
12 P 0.2508 0.5466 0.8484
13 P 0.2508 0.9534 0.8484
14 P 0.3047 0.7500 0.0418
15 P 0.6953 0.2500 0.9582
16 P 0.7492 0.0466 0.1516
17 P 0.7492 0.4534 0.1516
18 P 0.7508 0.5466 0.6516
19 P 0.7508 0.9534 0.6516
20 P 0.8047 0.7500 0.4582
21 O 0.0976 0.2500 0.6387
22 O 0.1160 0.0556 0.8815
23 O 0.1160 0.4444 0.8815
24 O 0.1423 0.7500 0.0566
25 O 0.1513 0.5224 0.2599
26 O 0.1513 0.9776 0.2599
27 O 0.1555 0.0812 0.4606
28 O 0.1555 0.4188 0.4606
29 O 0.1962 0.7500 0.8144
30 O 0.3038 0.2500 0.3144
31 O 0.3445 0.5812 0.9606
32 O 0.3445 0.9188 0.9606
33 O 0.3487 0.0224 0.7599
34 O 0.3487 0.4776 0.7599
35 O 0.3577 0.2500 0.5566
36 O 0.3840 0.5556 0.3815
37 O 0.3840 0.9444 0.3815
38 O 0.4024 0.7500 0.1387
39 O 0.5976 0.2500 0.8613
40 O 0.6160 0.0556 0.6185
41 O 0.6160 0.4444 0.6185
42 O 0.6423 0.7500 0.4434
43 O 0.6513 0.5224 0.2401
44 O 0.6513 0.9776 0.2401
45 O 0.6555 0.0812 0.0394
46 O 0.6555 0.4188 0.0394
47 O 0.6962 0.7500 0.6856
48 O 0.8038 0.2500 0.1856
49 O 0.8445 0.5812 0.5394
50 O 0.8445 0.9188 0.5394
51 O 0.8487 0.0224 0.7401
52 O 0.8487 0.4776 0.7401
53 O 0.8577 0.2500 0.9434
54 O 0.8840 0.5556 0.1185
55 O 0.8840 0.9444 0.1185
56 O 0.9024 0.7500 0.3613

***

Li3V4P6O24: computed powder X-ray diffraction pattern (CuKα), based on a DFT-relaxed cell (GGA+U, the Materials Project).
>>>

**Outcome:**
This entry pairs a crystal structure of ThFe4Co with its computed powder XRD pattern. Radiation: Cu Kα, 1.54184 Å. Structure: a crystal structure in the Materials Project, relaxed with PBE.
Lines closer than 0.1° are merged.

The 10 most intense peaks (2θ from 5° to 70°), sorted by position:
d 4.388, I 19
d 4.053, I 15
d 2.977, I 75
d 2.533, I 40
d 2.194, I 38
d 2.148, I 100
d 2.026, I 23
d 1.582, I 19
d 1.489, I 22
d 1.376, I 15

Atomic structure:
```
ThFe4Co
1.0
4.053 0.000 0.000
0.000 5.072 0.000
0.000 0.000 8.766
Th Fe Co
2 8 2
direct
0.000 0.000 0.000
0.000 0.500 0.500
0.000 0.000 0.667
0.000 0.500 0.167
0.500 0.000 0.500
0.500 0.250 0.250
0.500 0.250 0.750
0.500 0.500 0.000
0.500 0.750 0.250
0.500 0.750 0.750
0.000 0.000 0.333
0.000 0.500 0.833
```

~~~~~

LiV3P5O19: computed powder X-ray diffraction pattern (CuKα), based on a DFT-relaxed cell (GGA+U, the Materials Project).
Intensities are scaled so that the largest is 100.

Main lines, in order of rising 2θ (10 to 90 degrees two-theta):
2θ/deg, I/Imax
11.7, 100
14.5, 84
16.4, 46
19.9, 38
21.2, 89
23.5, 60
24.2, 18
28.9, 59
32.1, 16
33.0, 29

Atomic structure:
abc: 8.5034 8.5034 6.3529
angles: 98.41 98.41 113.95
Element x y z (fractional)
1 Li 0.0000 0.0000 0.0000
2 V 0.1484 0.3926 0.6506
3 V 0.3926 0.1484 0.6506
4 V 0.6695 0.6695 0.3157
5 P 0.0880 0.7176 0.4717
6 P 0.2194 0.5119 0.1992
7 P 0.5119 0.2194 0.1992
8 P 0.5768 0.5768 0.7757
9 P 0.7176 0.0880 0.4717
10 O 0.0680 0.5868 0.6151
11 O 0.1364 0.4235 0.9605
12 O 0.1511 0.6600 0.2568
13 O 0.1517 0.3727 0.3344
14 O 0.2243 0.2243 0.6611
15 O 0.2266 0.9022 0.5866
16 O 0.3727 0.1517 0.3344
17 O 0.3907 0.5721 0.7334
18 O 0.4207 0.6126 0.2497
19 O 0.4235 0.1364 0.9605
20 O 0.5721 0.3907 0.7334
21 O 0.5868 0.0680 0.6151
22 O 0.6126 0.4207 0.2497
23 O 0.6600 0.1511 0.2568
24 O 0.6824 0.6824 0.0101
25 O 0.6844 0.6844 0.6263
26 O 0.7281 0.9181 0.3727
27 O 0.9022 0.2266 0.5866
28 O 0.9181 0.7281 0.3727

***

LiVP3O9: computed powder X-ray diffraction pattern (CuKα), based on a DFT-relaxed cell (GGA+U, the Materials Project).
Intensities are scaled so that the largest is 100.

Main lines, in order of rising 2θ (10 to 90 degrees two-theta):
2θ/deg, I/Imax
14.1, 40
17.1, 100